_Request_
Give back only the lines underneath with the word "calculation" in them, please.

_Given_
┌──
1.
VASP calculation (PBE) on Sc2H6Se3O12 after structural relaxation.

Summary:
Its theoretical density is 2.95 g/cm3. The energy relative to the elements comes out at -1.8587 eV/atom. As for the space-group type: R3c (161).

Cell: 9.043 9.043 9.043 Å, 65.94 65.94 65.94°
Positions (direct):
Sc (0.000, 0.000, 0.000)
Sc (0.234, 0.234, 0.234)
Sc (0.500, 0.500, 0.500)
Sc (0.734, 0.734, 0.734)
H (0.048, 0.726, 0.763)
H (0.054, 0.586, 0.228)
H (0.086, 0.554, 0.728)
H (0.226, 0.548, 0.263)
H (0.228, 0.054, 0.586)
H (0.263, 0.226, 0.548)
H (0.548, 0.263, 0.226)
H (0.554, 0.728, 0.086)
H (0.586, 0.228, 0.054)
H (0.726, 0.763, 0.048)
H (0.728, 0.086, 0.554)
H (0.763, 0.048, 0.726)
Se (0.215, 0.841, 0.301)
Se (0.301, 0.215, 0.841)
Se (0.341, 0.715, 0.801)
Se (0.715, 0.801, 0.341)
Se (0.801, 0.341, 0.715)
Se (0.841, 0.301, 0.215)
O (0.110, 0.196, 0.865)
O (0.149, 0.874, 0.807)
O (0.156, 0.495, 0.252)
O (0.196, 0.865, 0.110)
O (0.240, 0.326, 0.984)
O (0.252, 0.156, 0.495)
O (0.307, 0.374, 0.649)
O (0.326, 0.984, 0.240)
O (0.365, 0.696, 0.610)
O (0.374, 0.649, 0.307)
O (0.484, 0.826, 0.740)
O (0.495, 0.252, 0.156)
O (0.610, 0.365, 0.696)
O (0.649, 0.307, 0.374)
O (0.656, 0.752, 0.995)
O (0.696, 0.610, 0.365)
O (0.740, 0.484, 0.826)
O (0.752, 0.995, 0.656)
O (0.807, 0.149, 0.874)
O (0.826, 0.740, 0.484)
O (0.865, 0.110, 0.196)
O (0.874, 0.807, 0.149)
O (0.984, 0.240, 0.326)
O (0.995, 0.656, 0.752)

---

2.
VASP calculation (PBE) on SmH5Se2O8 after structural relaxation.

Summary:
Its theoretical density is 3.37 g/cm3. The energy relative to the elements comes out at -1.6890 eV/atom. As for the space-group type: P2_12_12_1 (19).

Cell: 6.805 7.208 17.724 Å, 90.00 90.00 90.00°
Positions (direct):
Sm (0.123, 0.098, 0.216)
Sm (0.377, 0.902, 0.716)
Sm (0.623, 0.402, 0.784)
Sm (0.877, 0.598, 0.284)
H (0.018, 0.723, 0.583)
H (0.042, 0.766, 0.990)
H (0.053, 0.421, 0.113)
H (0.100, 0.262, 0.052)
H (0.203, 0.256, 0.928)
H (0.297, 0.744, 0.428)
H (0.400, 0.738, 0.552)
H (0.447, 0.579, 0.613)
H (0.458, 0.234, 0.490)
H (0.482, 0.277, 0.083)
H (0.518, 0.777, 0.417)
H (0.542, 0.734, 0.010)
H (0.553, 0.079, 0.887)
H (0.600, 0.238, 0.948)
H (0.703, 0.244, 0.072)
H (0.797, 0.756, 0.572)
H (0.900, 0.762, 0.448)
H (0.947, 0.921, 0.387)
H (0.958, 0.266, 0.510)
H (0.982, 0.223, 0.917)
Se (0.140, 0.289, 0.404)
Se (0.157, 0.395, 0.730)
Se (0.343, 0.605, 0.230)
Se (0.360, 0.711, 0.904)
Se (0.640, 0.211, 0.596)
Se (0.657, 0.105, 0.270)
Se (0.843, 0.895, 0.770)
Se (0.860, 0.789, 0.096)
O (0.032, 0.894, 0.707)
O (0.056, 0.930, 0.106)
O (0.081, 0.200, 0.498)
O (0.088, 0.096, 0.352)
O (0.088, 0.210, 0.954)
O (0.128, 0.304, 0.105)
O (0.187, 0.778, 0.263)
O (0.192, 0.424, 0.261)
O (0.308, 0.576, 0.761)
O (0.313, 0.222, 0.763)
O (0.372, 0.696, 0.605)
O (0.412, 0.790, 0.454)
O (0.412, 0.904, 0.852)
O (0.419, 0.800, 0.998)
O (0.444, 0.070, 0.606)
O (0.468, 0.106, 0.207)
O (0.532, 0.606, 0.293)
O (0.556, 0.570, 0.894)
O (0.581, 0.300, 0.502)
O (0.588, 0.290, 0.046)
O (0.588, 0.404, 0.648)
O (0.628, 0.196, 0.895)
O (0.687, 0.722, 0.737)
O (0.692, 0.076, 0.739)
O (0.808, 0.924, 0.239)
O (0.813, 0.278, 0.237)
O (0.872, 0.804, 0.395)
O (0.912, 0.596, 0.148)
O (0.912, 0.710, 0.546)
O (0.919, 0.700, 0.002)
O (0.944, 0.430, 0.394)
O (0.968, 0.394, 0.793)

---

3.
VASP calculation (PBE) on Tl2TeH6SeO10 after structural relaxation.

Summary:
Its theoretical density is 4.71 g/cm3. The energy relative to the elements comes out at -1.2699 eV/atom. As for the space-group type: P2_1/c (14).

Cell: 12.786 7.758 11.838 Å, 90.00 110.22 90.00°
Positions (direct):
Tl (0.148, 0.039, 0.390)
Tl (0.148, 0.461, 0.890)
Tl (0.334, 0.523, 0.630)
Tl (0.334, 0.977, 0.130)
Tl (0.666, 0.023, 0.870)
Tl (0.666, 0.477, 0.370)
Tl (0.852, 0.539, 0.110)
Tl (0.852, 0.961, 0.610)
Te (0.000, 0.000, 0.000)
Te (0.000, 0.500, 0.500)
Te (0.500, 0.000, 0.500)
Te (0.500, 0.500, 0.000)
H (0.092, 0.250, 0.126)
H (0.092, 0.250, 0.626)
H (0.107, 0.709, 0.666)
H (0.107, 0.791, 0.166)
H (0.114, 0.508, 0.366)
└──

_Solution_
VASP calculation (PBE) on Sc2H6Se3O12 after structural relaxation.
VASP calculation (PBE) on SmH5Se2O8 after structural relaxation.
VASP calculation (PBE) on Tl2TeH6SeO10 after structural relaxation.